Tuesday, October 16, 2007

Some Respect, Please.

So the controversy over the picture of Jesus, or as he's rightly named by Muslims, Issa (PBUH) that a Catholic put up on the wall in a staffroom at Manchester airport is still going on, with infidels all over the country writing enraged letters to newspapers saying that the pious Muslim involved had no right to complain about it...

Just what is it with these Christians?!?

This brother had every right to complain about the picture, as depicting any of the prophets is prohibited under Islam. Some people might moan about his complaint, saying that Britain is not an Islamic nation, but the entire world rightly belongs to Allah (PBUH), and one day, inshallah, the UK will become part of Dar-al-Islam. In fact, it's inevitable, and this brother was just standing up for the rights of Muslims everywhere.

Do people not realise how offensive this picture actually was? Not only did it break the aforementioned rule, but it depicted Issa (PBUH) as the "messiah". If he was and the Christian bible is right (which it obviously isn't), then that would mean that Mohammed (PBUH) wasn't a prophet at all and that he made everything up as he went along.

I'm filled with righteous rage even at the suggestion of the idea. That this brother called only for the picture to be taken down rather than to explode himself in a martyrdom operation is a testament to the tolerance and moderation that Islam encourages.

All we ask is that Christians respect our beliefs. It's not as if we're trying to force Islam upon them. Of course, Britain will one day be ruled according to sharia law, the Jews will eventually be pushed into the sea and atheists, agnostics, Buddhists, Wiccans and Aetherians will be forced to convert to Islam or be beheaded, but Christians will have it easy and be tolerated as dhimmis, or protected people. They'll be expected to do all the menial jobs and ride nothing larger than a donkey, but at least they'll be alive to be grateful for the protected status that Islam grants them.

Attached: data records:
~~~
(i)
VASP calculation (PBE+U) on LiFe4B4O12 after structural relaxation.

```
data_LiFe4B4O12
_cell_length_a 5.252
_cell_length_b 9.134
_cell_length_c 11.479
_cell_angle_alpha 113.14
_cell_angle_beta 101.99
_cell_angle_gamma 90.93
_space_group_name_H-M_alt 'P 1'
_space_group_IT_number 1
_space_group_name_Hall 'P 1'
loop_
_atom_site_label
_atom_site_fract_x
_atom_site_fract_y
_atom_site_fract_z
_atom_site_occupancy
Li1 0.000 0.000 0.000 1
Li2 0.280 0.254 0.503 1
Fe1 0.032 0.355 0.038 1
Fe2 0.261 0.878 0.785 1
Fe3 0.282 0.926 0.534 1
Fe4 0.503 0.461 0.278 1
Fe5 0.535 0.847 0.040 1
Fe6 0.755 0.389 0.789 1
Fe7 0.791 0.437 0.532 1
Fe8 0.996 0.961 0.283 1
B1 0.007 0.636 0.292 1
B2 0.032 0.681 0.027 1
B3 0.240 0.214 0.779 1
B4 0.303 0.592 0.537 1
B5 0.513 0.144 0.292 1
B6 0.533 0.168 0.036 1
B7 0.749 0.718 0.789 1
B8 0.789 0.103 0.539 1
O1 0.010 0.248 0.820 1
O2 0.032 0.085 0.507 1
O3 0.139 0.790 0.347 1
O4 0.143 0.506 0.240 1
O5 0.153 0.467 0.536 1
O6 0.238 0.748 0.591 1
O7 0.277 0.138 0.317 1
O8 0.292 0.692 0.032 1
O9 0.297 0.053 0.732 1
O10 0.370 0.018 0.987 1
O11 0.408 0.328 0.778 1
O12 0.409 0.303 0.089 1
O13 0.523 0.750 0.836 1
O14 0.524 0.566 0.487 1
O15 0.625 0.982 0.531 1
O16 0.629 0.009 0.226 1
O17 0.664 0.295 0.338 1
O18 0.708 0.260 0.579 1
O19 0.748 0.615 0.286 1
O20 0.783 0.168 0.028 1
O21 0.793 0.560 0.726 1
O22 0.881 0.534 0.979 1
O23 0.913 0.824 0.070 1
O24 0.926 0.841 0.810 1
```

(ii)
VASP calculation (PBE+U) on LiFe4B4O12 after structural relaxation.

```
data_LiFe4B4O12
_cell_length_a 5.239
_cell_length_b 5.267
_cell_length_c 20.110
_cell_angle_alpha 90.48
_cell_angle_beta 90.07
_cell_angle_gamma 118.94
_space_group_name_H-M_alt 'P 1'
_space_group_IT_number 1
_space_group_name_Hall 'P 1'
loop_
_atom_site_label
_atom_site_fract_x
_atom_site_fract_y
_atom_site_fract_z
_atom_site_occupancy
Li1 0.000 0.000 0.000 1
Li2 0.320 0.297 0.379 1
Fe1 0.334 0.673 0.488 1
Fe2 0.339 0.651 0.988 1
Fe3 0.650 0.986 0.865 1
Fe4 0.654 0.327 0.240 1
Fe5 0.661 0.330 0.739 1
Fe6 0.661 0.969 0.362 1
Fe7 0.980 0.648 0.114 1
Fe8 0.984 0.651 0.615 1
B1 0.314 0.658 0.238 1
B2 0.321 0.661 0.739 1
B3 0.653 0.992 0.113 1
B4 0.656 0.994 0.614 1
B5 0.657 0.319 0.990 1
B6 0.666 0.324 0.487 1
B7 0.992 0.649 0.364 1
B8 0.995 0.654 0.864 1
O1 0.005 0.913 0.365 1
O2 0.050 0.640 0.216 1
O3 0.061 0.646 0.715 1
O4 0.230 0.620 0.387 1
O5 0.260 0.679 0.884 1
O6 0.350 0.418 0.241 1
O7 0.364 0.428 0.737 1
O8 0.382 0.771 0.093 1
O9 0.389 0.778 0.588 1
O10 0.393 0.307 0.990 1
O11 0.442 0.381 0.477 1
O12 0.535 0.926 0.260 1
O13 0.536 0.928 0.764 1
O14 0.639 0.059 0.467 1
O15 0.668 0.251 0.638 1
O16 0.675 0.253 0.137 1
O17 0.688 0.081 0.967 1
O18 0.742 0.397 0.341 1
O19 0.783 0.388 0.837 1
O20 0.890 0.951 0.616 1
O21 0.895 0.959 0.105 1
O22 0.911 0.567 0.013 1
O23 0.928 0.533 0.516 1
O24 0.941 0.880 0.872 1
```

In terms of stability, (ii) leads; the second structure lies 5 meV/atom higher.

(i)
VASP calculation (PBE+U) on Li5VCr3O8 after structural relaxation.

```
data_Li5VCr3O8
~~~

The kuffar worker who put up this picture was rightly suspended, and that decision should have stood. That he has not only been reinstated, but the brother who complained is now the object of criticism is just another example of how Muslims are unfairly discriminated against in this country.

So my message to Christians is this: we don't try to shove Islam down your throats, so don't try to shove your perverted religion down ours.


Anonymous said...

"Mohammed (My shit be upon his name) wasn't a prophet at all and that he made everything up as he went along."
Wow you should think about that because he did he was a desert raider who created his own mythology for one reason power, i hope their is a hell for people like you, jihad boy.

Anonymous said...

What comes next are data records, not part of the article:
-- begin --
Entry 1:
A plane-wave DFT calculation with PBE was carried out for CoSnN after structural relaxation.

Cell lengths 3.0507, 5.2728, 11.7746 Å; angles 90.00, 90.00, 90.00 degrees
With the nearest neighbours (Å) after each atom.
Space group Cmc2_1 (No. 36)
Asymmetric unit:
Co1 0.0000 0.1637 0.0000 (multiplicity 4)  3 N 1.83
Sn1 0.0000 0.4987 0.3034 (multiplicity 4)  3 Co 2.90-2.92, 6 Sn 3.05
N1 0.0000 0.1703 0.5431 (multiplicity 4)  3 Co 1.83

***

Entry 2:
A plane-wave DFT calculation with PBE was carried out for SrCo7N10 after structural relaxation.

Cell lengths 6.9855, 7.1651, 9.6656 Å; angles 90.00, 107.25, 90.00 degrees
With the nearest neighbours (Å) after each atom.
Space group Pc (No. 7)
Asymmetric unit:
Sr1 0.0000 0.0137 0.0000 (multiplicity 2)  5 N 2.63-2.86
Co1 0.1925 0.3778 0.4216 (multiplicity 2)  4 N 1.73-1.80
Co2 0.3783 0.3648 0.7300 (multiplicity 2)  4 N 1.76-1.80
Co3 0.4546 0.0319 0.3689 (multiplicity 2)  4 N 1.73-1.83
Co4 0.5716 0.3665 0.0363 (multiplicity 2)  4 N 1.77-1.84
Co5 0.6345 0.0291 0.6830 (multiplicity 2)  4 N 1.75-1.84
Co6 0.7503 0.3734 0.3419 (multiplicity 2)  4 N 1.77-1.81
Co7 0.9376 0.3679 0.6642 (multiplicity 2)  4 N 1.76-1.81
N1 0.1744 0.4403 0.7899 (multiplicity 2)  3 Co 1.77-1.81
N2 0.2428 0.1584 0.3674 (multiplicity 2)  2 Co 1.73
N3 0.3890 0.4796 0.5672 (multiplicity 2)  3 Co 1.78-1.80
N4 0.4042 0.1223 0.7114 (multiplicity 2)  3 Co 1.76-1.84
N5 0.5671 0.1103 0.0239 (multiplicity 2)  3 Co 1.78-1.84
N6 0.5965 0.4408 0.8663 (multiplicity 2)  3 Co 1.77-1.78
N7 0.6708 0.1387 0.3327 (multiplicity 2)  3 Co 1.77-1.84
N8 0.7950 0.4291 0.1711 (multiplicity 2)  3 Co 1.77-1.81
N9 0.8620 0.1471 0.7078 (multiplicity 2)  2 Co 1.75-1.76
N10 0.9800 0.3792 0.4893 (multiplicity 2)  3 Co 1.79-1.80

***

| no. | magnetization (μB per cell) | calculated formation energy (eV/f.u.) |
| --- | --- | --- |
| 1 | 0.0 | 0.555 |
| 2 | 0.0 | 0.921 |

* * * * *

No. 1
Compound: NaZnFeP2O8
Source: Materials Project
Functional: PBE+U
Structure: relaxed

The structure in POSCAR format:
```
NaZnFeP2O8
1.0
9.293 0.000 0.000
0.686 9.279 0.000
4.233 3.995 10.349
Na Zn Fe P O
6 6 6 12 48
Direct
0.000 0.000 0.000 Na
0.139 0.122 0.367 Na
0.252 0.248 0.749 Na
0.500 0.500 0.500 Na
0.748 0.752 0.251 Na
0.861 0.878 0.633 Na
0.085 0.779 0.348 Zn
0.142 0.602 0.623 Zn
0.358 0.890 0.876 Zn
0.642 0.110 0.124 Zn
0.858 0.398 0.377 Zn
0.915 0.221 0.652 Zn
0.039 0.341 0.097 Fe
0.407 0.715 0.153 Fe
0.473 0.160 0.401 Fe
0.527 0.840 0.599 Fe
0.593 0.285 0.847 Fe
0.961 0.659 0.903 Fe
0.085 0.666 0.122 P
0.173 0.950 0.674 P
0.204 0.420 0.423 P
0.300 0.075 0.072 P
0.327 0.545 0.823 P
0.412 0.835 0.376 P
0.588 0.165 0.624 P
0.673 0.455 0.177 P
0.700 0.925 0.928 P
0.796 0.580 0.577 P
0.827 0.050 0.326 P
0.915 0.334 0.878 P
0.009 0.743 0.222 O
0.012 0.738 0.017 O
0.034 0.361 0.460 O
0.048 0.487 0.188 O
0.063 0.052 0.612 O
0.109 0.778 0.721 O
0.165 0.518 0.934 O
0.189 0.185 0.131 O
0.191 0.984 0.786 O
0.232 0.437 0.537 O
0.235 0.799 0.445 O
0.238 0.579 0.310 O
-- stop --
The article goes on:

All we ask is that Christians respect our beliefs. It's not as if we're trying to force Islam upon them.
yes you are, all muslims what to conquer the world and make slaves out of non-muslims and rape women, thats your dream thats your religion. I have read your"holy" books and it a bunch of filth.

Anonymous said...

So this is your little blog to fight the infidels way to go Martyr. You will get your 72 virgins all right for your bravery. Was it 72 virgin girls or boys, since most muslims are pederases i am sure it is the latter.